Material:
┌──
Computed, not measured: crystalline PmTmInHg at its relaxed geometry at the PBE level of DFT.

- Space-group type: F-43m
- VASP energy: -3.518 eV per atom
- ΔE_f: -452 meV per atom
- Magnetic moment: 0.13 μB/f.u.

Lattice parameters (Å, degrees): 5.340 5.340 5.340 60.00 60.00 60.00
Sites, in units of the cell vectors:
Tm (0.500, 0.500, 0.500)
Hg (0.750, 0.750, 0.750)
Pm (0.000, 0.000, 0.000)
In (0.250, 0.250, 0.250)

~~~~~

# 1
Here is a relaxed structure of NpSnSeS2 from Alexandria via LeMat-Bulk. Energies are from PBE.

a = 7.3309 Å, b = 4.1310 Å, c = 9.8208 Å
α = 90.00°, β = 105.95°, γ = 90.00°
Atoms (fractional coordinates):
Np 0.2369 0.2500 0.4506
Np 0.7631 0.7500 0.5494
Sn 0.2587 0.7500 0.0591
Sn 0.7413 0.2500 0.9409
Se 0.1684 0.7500 0.6268
Se 0.8316 0.2500 0.3732
S 0.0932 0.2500 0.1450
S 0.4134 0.7500 0.3570
S 0.5866 0.2500 0.6430
S 0.9068 0.7500 0.8550

ΔE_f (raw)	-0.862	eV per atom

***

# 2
Here is a relaxed structure of SrNpSe3S from Alexandria via LeMat-Bulk. Energies are from PBE.

a = 8.4766 Å, b = 4.1296 Å, c = 9.8653 Å
α = 90.00°, β = 110.85°, γ = 90.00°
Atoms (fractional coordinates):
Sr 0.2305 0.2500 0.2041
Sr 0.7695 0.7500 0.7959
Np 0.1916 0.7500 0.6885
Np 0.8084 0.2500 0.3115
Se 0.0690 0.7500 0.3734
Se 0.1628 0.7500 0.9578
Se 0.4486 0.2500 0.6280
Se 0.5514 0.7500 0.3720
Se 0.8372 0.2500 0.0422
Se 0.9310 0.2500 0.6266
S 0.3852 0.2500 0.8332
S 0.6148 0.7500 0.1668

ΔE_f (raw)	-1.198	eV per atom

***

# 3
Here is a relaxed structure of TbNpSeS2 from Alexandria via LeMat-Bulk. Energies are from PBE.

a = 7.3323 Å, b = 7.3323 Å, c = 7.3323 Å
α = 145.66°, β = 145.66°, γ = 49.36°
Atoms (fractional coordinates):
Tb 0.0000 0.0000 0.0000
Np 0.2645 0.2645 0.0000
Se 0.6357 0.6357 0.0000
S 0.3834 0.8834 0.5000
S 0.8834 0.3834 0.5000

ΔE_f (raw)	-1.228	eV per atom

***

# 4
Here is a relaxed structure of Np2TeSe2S2 from Alexandria via LeMat-Bulk. Energies are from PBE.

a = 4.3746 Å, b = 4.3746 Å, c = 12.3061 Å
α = 90.00°, β = 90.00°, γ = 120.00°
Atoms (fractional coordinates):
Np 0.3333 0.6667 0.1517
Np 0.6667 0.3333 0.8483
Te 0.0000 0.0000 0.5000
Se 0.0000 0.0000 0.2757
Se 0.0000 0.0000 0.7243
S 0.3333 0.6667 0.9226
S 0.6667 0.3333 0.0774

ΔE_f (raw)	-0.885	eV per atom

***

# 5
Here is a relaxed structure of NpTlSeS from Alexandria via LeMat-Bulk. Energies are from PBE.

a = 8.0919 Å, b = 8.0919 Å, c = 8.0919 Å
α = 29.60°, β = 29.60°, γ = 29.60°
Atoms (fractional coordinates):
Np 0.0000 0.0000 0.0000
Tl 0.8323 0.8323 0.8323
Se 0.4057 0.4057 0.4057
S 0.6088 0.6088 0.6088

ΔE_f (raw)	-0.949	eV per atom

***

# 6
Here is a relaxed structure of Np2Tl2Se2S from Alexandria via LeMat-Bulk. Energies are from PBE.

a = 9.6242 Å, b = 9.6242 Å, c = 9.6242 Å
α = 148.86°, β = 148.86°, γ = 44.62°
Atoms (fractional coordinates):
Np 0.0000 0.5000 0.5000
Np 0.5000 0.0000 0.5000
Tl 0.2408 0.2408 0.0000
Tl 0.7592 0.7592 0.0000
Se 0.4091 0.4091 0.0000
Se 0.5909 0.5909 0.0000
S 0.0000 0.0000 0.0000

ΔE_f (raw)	-0.622	eV per atom

***

# 7
Here is a relaxed structure of Np2TlSeS4 from Alexandria via LeMat-Bulk. Energies are from PBE.

a = 6.9397 Å, b = 6.9397 Å, c = 13.7937 Å
α = 90.00°, β = 90.00°, γ = 147.08°
Atoms (fractional coordinates):
Np 0.1267 0.8733 0.5894
Np 0.1267 0.8733 0.9106
Np 0.8733 0.1267 0.0894
Np 0.8733 0.1267 0.4106
Tl 0.3397 0.6603 0.7500
Tl 0.6603 0.3397 0.2500
Se 0.3736 0.6264 0.2500
Se 0.6264 0.3736 0.7500
S 0.0147 0.9853 0.2500
S 0.2281 0.7719 0.0840
S 0.2281 0.7719 0.4160
S 0.5000 0.5000 0.0000
S 0.5000 0.5000 0.5000
S 0.7719 0.2281 0.5840
S 0.7719 0.2281 0.9160
S 0.9853 0.0147 0.7500

ΔE_f (raw)	-0.845	eV per atom

***

# 8
Here is a relaxed structure of TmNpSeS2 from Alexandria via LeMat-Bulk. Energies are from PBE.

a = 7.3151 Å, b = 7.3151 Å, c = 7.3151 Å
α = 145.71°, β = 145.71°, γ = 49.28°
Atoms (fractional coordinates):
Tm 0.0000 0.0000 0.0000
Np 0.2666 0.2666 0.0000
Se 0.6437 0.6437 0.0000
S 0.3903 0.8903 0.5000
S 0.8903 0.3903 0.5000

ΔE_f (raw)	-1.202	eV per atom

***

# 9
└──
Brief:
What is needed: say how many lines of the material earlier on hold the word "SrNpSe3S", as a bare number.
Worked solution:
1